# Input
/*
Entry 1:
{
  "formula": "Ba2AgTe2F",
  "functional": "PBE",
  "state": "optimized geometry",
  "formation_energy_mev_per_atom": -784,
  "magmom_total_mub_per_fu": 0.6,
  "energy_ev_per_atom": -3.186,
  "vol_a3_per_atom": 41.92,
  "space_group": "P4/mmm (123)",
  "cell": [[3.880, 0.000, 0.000], [0.000, 3.880, 0.000], [0.000, 0.000, 16.707]],
  "species": ["Ba", "Ba", "Ag", "Te", "Te", "F"],
  "frac_coords": [[0.000, 0.000, 0.147], [0.000, 0.000, 0.853], [0.000, 0.000, 0.500], [0.000, 0.000, 0.342], [0.000, 0.000, 0.658], [0.000, 0.000, 0.000]]
}

***

Entry 2:
{
  "formula": "BaZnAgF7",
  "functional": "PBE",
  "state": "optimized geometry",
  "formation_energy_mev_per_atom": -2561,
  "magmom_total_mub_per_fu": 2.0,
  "energy_ev_per_atom": -4.179,
  "vol_a3_per_atom": 14.64,
  "space_group": "P2_1/c (14)",
  "cell": [[5.783, 0.000, 0.000], [0.000, 10.265, 0.000], [-0.508, 0.000, 9.864]],
  "species": ["Ba", "Ba", "Ba", "Ba", "Zn", "Zn", "Zn", "Zn", "Ag", "Ag", "Ag", "Ag", "F", "F", "F", "F", "F", "F", "F", "F", "F", "F", "F", "F", "F", "F", "F", "F", "F", "F", "F", "F", "F", "F", "F", "F", "F", "F", "F", "F"],
  "frac_coords": [[0.234, 0.178, 0.002], [0.234, 0.322, 0.502], [0.766, 0.678, 0.498], [0.766, 0.822, 0.998], [0.197, 0.603, 0.807], [0.197, 0.897, 0.307], [0.803, 0.103, 0.693], [0.803, 0.397, 0.193], [0.304, 0.610, 0.187], [0.304, 0.890, 0.687], [0.696, 0.110, 0.313], [0.696, 0.390, 0.813], [0.007, 0.716, 0.250], [0.007, 0.784, 0.750], [0.109, 0.541, 0.626], [0.109, 0.959, 0.126], [0.127, 0.062, 0.625], [0.127, 0.438, 0.125], [0.238, 0.698, 0.991], [0.238, 0.802, 0.491], [0.369, 0.055, 0.381], [0.369, 0.445, 0.881], [0.398, 0.538, 0.380], [0.398, 0.962, 0.880], [0.484, 0.714, 0.751], [0.484, 0.786, 0.251], [0.516, 0.214, 0.749], [0.516, 0.286, 0.249], [0.602, 0.038, 0.120], [0.602, 0.462, 0.620], [0.631, 0.555, 0.119], [0.631, 0.945, 0.619], [0.762, 0.198, 0.509], [0.762, 0.302, 0.009], [0.873, 0.562, 0.875], [0.873, 0.938, 0.375], [0.891, 0.041, 0.874], [0.891, 0.459, 0.374], [0.993, 0.216, 0.250], [0.993, 0.284, 0.750]]
}

***

Entry 3:
{
*/

# Assignment
The reader should count the lines further up that contain the word "vol_a3_per_atom" and give the number alone.

# Done
2